On many websites ‘temperature play’ is considered a form of BDSM. But that’s going a bit too far, if you ask me. Of course it can be extreme, but it can also be just an erotic act, titillating the senses with (big) temperature differences. For example, by rubbing an ice cube against someone’s nipple, or dripping some hot candle wax over someone. But there is more. Much more.
What is ‘temperature play’?
Literally ‘temperature play’ means playing with temperature differences. And you can do that in many different ways. Often, some kind of substance is used to poor or rub over someone’s body, like (warm or cold) water, warm oil, melted candle wax, melted chocolate, cold whipped cream, melted butter, cooled fruit, ice cubes, cold champage, warm thee, etc.
And even objects can feel warm or cold. Think of cutlery, or chains. Actually, all glass or metal objects will do, because they are easy to heat up or cool down just by putting them in hot or cold water. Also heating units, cold packs, radiators, open fire and even snow or sun can be a source for temperature play.
The feeling of temperature (differences) on the skin or erogenous zones can be very erotic. Neuro-receptors in the skin will be stimulated by the warmth or cold, enabling a sensitive sensation. In the right setting, that could lead to arousal. Temperature play is exciting if the temperature change comes in an unpredictable pattern.
Temperature play is often combined with blindfolds. When one of the senses is blocked, other senses will react stronger. Therefor, temperature play also works well together with bondage, to increase the sensation of warmth or cold.
Some forms of temperature play are quite innocent, while other – more extreme forms – are not without danger. Using temperature play with certain materials, body parts, or techniques, precaution is recommended. Below, we start of with some of the milder techniques, and they get more extreme when you scroll down.
Food is really great for erotic and kinky temperature play. Especially the combination of warm or cold food and oral sex is a great foreplay. Just think about licking off whipped cream.
It is very easy to make your mouth warm by taking a sip of hot tea. And you can cool your mouth with a cold drink. A nice variant is when you do not swallow the drink, but spill some while you kiss the body, nipples or genitals of your partner.
You can also rub cooled pieces of fruit over your partner’s body (and lick away the tracks). Or take a piece of fruit in your mouth and rub it against your partner’s nipple, belly, mouth, clitoris, glans, etc.
Personally I am a big fan of ‘bubbles’. Take a bottle of ice cold champagne (or other sparkling wine) to bed. Take a sip to cool down your mouth, spill some over your partner, lick it off, or just pour some over your partner’s body.
Be careful though. Some food should never get into the vagina. Some ingredients in food can cause a nasty yeast infection. Read about it in this post.
You could look at ice as food, but still I decided to mention it separately. Of course, you can rub an ice cube over someone’s body. Especially when it’s hot outside during the summer, the contrast with the cold of the ice can be great.
**Records of crystals from another source follow:**
┌──
(1)
Entry from Alexandria: a relaxed Pr2YC2Br2 crystal (GGA-PBE).

As for the density of states at the Fermi level: 0.1326 states/eV/atom. Its energy is -84.6 eV for the cell shown.

The space group is I4/mmm (No. 139) and the conventional cell measures 4.572, 4.572 and 15.714 Å, with angles of 90.00, 90.00 and 90.00 degrees. The inequivalent atoms are Pr at (0.000, 0.000, 0.101), Y at (0.000, 0.000, 0.500), C at (0.000, 0.500, 0.000) and Br at (0.000, 0.000, 0.309).

***

(2)
Entry from Alexandria: a relaxed Pr4ZnCBr2 crystal (GGA-PBE).

As for the density of states at the Fermi level: 0.7687 states/eV/atom. Its energy is -38.7 eV for the cell shown.

The space group is P2/m (No. 10) and the conventional cell measures 7.307, 3.968 and 7.828 Å, with angles of 90.00, 106.38 and 90.00 degrees. The inequivalent atoms are Pr at (0.201, 0.000, 0.188), Pr at (0.231, 0.500, 0.792), Zn at (0.500, 0.000, 0.000), C at (0.000, 0.500, 0.000), Br at (0.000, 0.000, 0.500) and Br at (0.500, 0.500, 0.500).

***

Formation energy (no corrections) / eV/atom: -0.640; -0.722
└──
**Back to the page:**
You can take ice in your hands to rub with it, but you can also put it in your mouth and start kissing and licking.
You might use ice cibes to cool down objects (see below).
Still, you need to take some extra care with ice. When ice gets right out of the freezer it can stick to the skin. Therefor, you should always put icecubes in a bowl of water or in a drink before you start using it for temperature play.
Dildos and butt plugs made of glass or metal can be cooled down extra, by placing them in a bowl with ice water, or keeping them in the fridge for a while, or even by holding them under running water. Or, you can warm them up by placing it in a bowl of hot water, or keep it under running hot water.
Glass will hold its temperature a little while longer than metal. After a while, the toy will adopt body temperature. That’s why it is big fun to have a bowl with ice water and hot water at hand and play with different toys at different temperature at the same time. For example, you might cool one down, while you use a different heated toy, or use a heated and a cooled down toy at the same time.
Candles (wax play)
A special variant of temperature play is described in an earlier post: Wax play. Playing with candle wax can be extremely erotic, but also extremely dangerous. It’s never funny when you end up with third degree burns, let alone on your most intimate parts. And you don’t want to be tied down, when the room sets fire.
It is important to prepare the skin by rubbing it with some protective oil. Also, you should use candles with a low melting temperature. There are also special candles available with a low melting temperature. These are meant for wax play. Watch out with hick pillar candles or colored candles. Rather use massage candles. These candles turn into massage oil when they melt. And they often smell great too.
Playing with candle wax or warm oil is great, but you do need to take some planning and precaution.
Fire (bouncing and streaking)
A special form of temperature play is the one where you use fire in close proximity or even on the skin. It resembles what you see fire breathers do. You use a fuel or a torch that is drenched in a fuel (usually isopropyl alcohol – usually something that evaporates quickly). Sometimes even floggers are used as a torch. So this is not a practice for beginners. This demands lots of experience.
Part of the excitement has to do with our natural fear of fire. And it looks pretty spectacular too. When done correctly, you won’t feel much and it will hardly leave any tracks.
Two techniques that are used with torches is what is called ‘boucing & streaking’. In bouncing you hit the head of the burning torch softly to the skin (like on a drum) and with streaking you rub the torch over the skin. In both cases, small amounts of the fuel will transfer to the skin and burn for a few seconds.
Fire cupping
Fire cupping is a form of temperature play where the air in a glass bowl is heated and then the glass bowl is placed onto the skin. When the air cools off, it will create a vacuum that will suck the bowl onto the skin.
Cupping originated as an oriental healing but is also practiced as a therapy for muscle ache. It increases the blood flow. The technique resembles using vacuum pumps.
When cupping is exercised as a sexual (BDSM) act, the skin is sometimes treated with alcohol and the glass is then placed over the burning spot. The fire will go out in the glass and it will suck itself to the skin.
Cupping is not without danger. It can cause burning wounds when the glass becomes to hot and it can also cause heavy brusing wen the vacuum is too strong or when it is kept too long.
Exposure to cold or heat
A huge step beyond all this, is exposure to cold or heat. This is not an act you will do on a daily basis. Think about lying naked in the snow, of being partially nude in the freezing cold. Because it is not always winter, these practices are recreated with a fan and cold water.
This type of temperature play come with great risks. The ‘victim’ can suffer from hypothermia or even freezing.
Also warmth can be used as a form of torture. Often a submissive will be tied up in foil, blankets, leather, or rubber. Or the submissive must perform certain acts in bright sunlight. But the heater, open fire or even some hot coals are sometimes used.
These types of temperature play are very dangerous. Dehydration or even a heart attack can be the result.
Temperature play can be a great and relaxing and erotic way to make foreplay extra arousing, but it can also take extreme forms. Only act out what you and your partner both agree on and always take precautionary measures.